A review by erinxmegan
Antioch by Jessica Leonard


*actual rating is 4.5*

Antioch has a murderer running rampant, he’s dubbed Vlad the Impaler. Six women have been brutally murdered and there’s no real lead to who it could be.
By day Bess works at a bookstore, and by night she’s on a shortwave radio and looking into Amelia Earhart conspiracy theories.
One night Bess picks up a very odd transmission through the radio. She’s convinced that what she picked up is proof that the murderer has a 7th victim and if something isn’t done, then they’ll end up just like the rest.

Fun fact about me: I used to be obsessed with Amelia Earhart. I had to do a project on her in middle school and I was fascinated. I think that’s what grabbed me in the beginning about this book. A main character who had an obsession that I always randomly had? Sign me up.
The premise of the book is something that I find interesting, a regular person playing detective and trying to solve a case or stop the murderer before they kill again.
It’s suspenseful, it’s a race against the clock. Will they be able to save the person? Will the murderer figure it out and try to kill them?
I thought I knew how the book was going to play out based on that premise alone. Boy was I wrong.
_Calculated crystals, as found in the file_
-- begin --
{"formula": "MnP2O7", "functional": "PBE+U", "state": "relaxed", "total_magnetization_mub_per_fu": 3.0, "polymorph_energy_ev_per_atom": 0.0262, "ef_mev_per_atom": -2358, "cell": [[5.0171, 0.0000, 0.0000], [-0.3248, 6.3009, 0.0000], [-0.0217, -2.9463, 7.9322]], "species": ["Mn", "Mn", "P", "P", "P", "P", "O", "O", "O", "O", "O", "O", "O", "O", "O", "O", "O", "O", "O", "O"], "fractional_positions": [[0.2394, 0.2925, 0.2271], [0.7606, 0.7075, 0.7729], [0.2190, 0.3570, 0.6385], [0.2955, 0.0628, 0.8431], [0.7045, 0.9372, 0.1569], [0.7810, 0.6430, 0.3615], [0.0618, 0.5741, 0.2972], [0.0981, 0.8662, 0.8277], [0.2364, 0.2753, 0.4480], [0.2543, 0.2806, 0.9942], [0.2585, 0.1283, 0.6773], [0.4153, 0.0093, 0.1591], [0.4337, 0.5326, 0.7342], [0.5663, 0.4674, 0.2658], [0.5847, 0.9907, 0.8409], [0.7415, 0.8717, 0.3227], [0.7457, 0.7194, 0.0058], [0.7636, 0.7247, 0.5520], [0.9019, 0.1338, 0.1723], [0.9382, 0.4259, 0.7028]]}

=====

No. 1
## Tl5BrCl4 (PBE-GGA)

Data for crystalline Tl5BrCl4 at its relaxed geometry.

ΔH_f (0 K)   -1177.7 meV per atom
Total moment   0.01 μB/cell

a = 14.175 Å, b = 14.175 Å, c = 3.936 Å
α = 90.00°, β = 90.00°, γ = 157.35°
Element x y z (fractional)
Cl 0.100 0.900 0.500
Cl 0.700 0.300 0.500
Cl 0.900 0.100 0.500
Cl 0.300 0.700 0.500
Tl 0.000 0.000 0.000
Tl 0.200 0.800 0.000
Tl 0.800 0.200 0.000
Tl 0.398 0.602 0.000
Tl 0.602 0.398 0.000
Br 0.500 0.500 0.500

***

No. 2
## Tl4BrCl3 (PBE-GGA)

Data for crystalline Tl4BrCl3 at its relaxed geometry.

ΔH_f (0 K)   -1163.9 meV per atom
Total moment   0.00 μB/cell

a = 3.944 Å, b = 5.575 Å, c = 11.139 Å
α = 90.00°, β = 90.00°, γ = 90.00°
Element x y z (fractional)
Tl 0.000 0.000 0.000
Tl 0.000 0.500 0.254
Tl 0.000 0.500 0.746
Tl 0.000 0.000 0.500
Cl 0.500 0.500 0.500
Cl 0.500 0.000 0.251
Cl 0.500 0.000 0.749
Br 0.500 0.500 0.000

***

No. 3
## CoBr (PBE-GGA)

Data for crystalline CoBr at its relaxed geometry.

ΔH_f (0 K)   426.4 meV per atom
Total moment   2.02 μB/cell

a = 3.498 Å, b = 3.498 Å, c = 4.502 Å
α = 90.00°, β = 90.00°, γ = 120.00°
Element x y z (fractional)
Br 0.000 0.000 0.500
Co 0.000 0.000 0.000

***

No. 4
## Cs3CoBr5 (PBE-GGA)

Data for crystalline Cs3CoBr5 at its relaxed geometry.

ΔH_f (0 K)   -1651.3 meV per atom

a = 10.381 Å, b = 10.381 Å, c = 10.381 Å
α = 122.87°, β = 122.87°, γ = 85.10°
Element x y z (fractional)
Cs 0.333 0.833 0.167
Cs 0.833 0.667 0.500
Cs 0.750 0.750 0.000
Cs 0.667 0.167 0.833
Cs 0.167 0.333 0.500
Cs 0.250 0.250 0.000
Br 0.207 0.981 0.500
Br 0.981 0.481 0.774
Br 0.019 0.519 0.226
Br 0.500 0.500 0.000
Br 0.000 0.000 0.000
Br 0.481 0.707 0.500
Br 0.293 0.793 0.774
Br 0.519 0.293 0.500
Br 0.707 0.207 0.226
Br 0.793 0.019 0.500
Co 0.750 0.250 0.500
Co 0.250 0.750 0.500

***

> Look up the ΔH_f (0 K) of the first one.

-1177.7 meV per atom

***

> ΔH_f (0 K) of number 4 (Cs3CoBr5)?

-1651.3 meV per atom

***

Please write out number 4 again, unchanged.
## Cs3CoBr5 (PBE-GGA)

Data for crystalline Cs3CoBr5 at its relaxed geometry.
-- stop --
I was confused the whole time.
The. Whole. Time.
First, Bess is a highly unreliable character. She drinks quite a bit, she loses days-thinks it’s Monday, when it is fact Wednesday. Her reactions are sometimes alarming, she seems unfazed by something that should be very unnerving.
Those are just some of the things, but there is a lot that makes Bess super unreliable in my opinion.
I even think someone could say that her fascination with Amelia Earhart conspiracies could be detrimental to her reliability.
In fact, every character in this book is highly suspicious. At one point I could see each of them being responsible for the murders. I didn’t know who had good intentions and who didn’t.
The paranoia from this book, omg.
Which leads me into my next point, the questions. I have so many freaking questions.
The book doesn’t answer anything, nothing, zero, nada, zilch. Unless, I am just not connecting the dots, which could totally happen.
The ending was sooooooo abrupt, I was devastated. It felt like it had just hit the climax and then poof, over.
[Inserted here: materials data]
Sr2Cu6P5 | PBE | relaxed

abc: 4.106 4.106 12.653
angles: 99.34 99.34 90.00
Sites, in units of the cell vectors:
Sr1 0.649 0.649 0.298
Sr2 0.351 0.351 0.702
Cu1 0.948 0.448 0.896
Cu2 0.448 0.948 0.896
Cu3 0.052 0.552 0.104
Cu4 0.552 0.052 0.104
Cu5 0.250 0.750 0.500
Cu6 0.750 0.250 0.500
P1 0.500 0.500 0.000
P2 0.896 0.896 0.792
P3 0.104 0.104 0.208
P4 0.802 0.802 0.603
P5 0.198 0.198 0.397

Values from the calculation:
- formation enthalpy at 0 K (kcal/mol of atoms) = -10.31
- space group = I4/mmm, No. 139
- V (Å³/atom) = 15.97

~~~~~

Entry 1:
VASP calculation (GGA-PBE) on a geometry-optimized Ca2Nb2O7 structure.

Output
Energy relative to the elements, meV/atom: -3297.5
Calculated density, kg/m3: 4307
Uncorrected energy, eV for the cell shown: -361.25

Cell lengths 7.771, 5.548, 13.660 Å; angles 90.00, 98.28, 90.00 degrees
Sites, in units of the cell vectors:
1 Ca 0.139 0.000 0.065
2 Ca 0.230 0.419 0.416
3 Ca 0.283 0.901 0.624
4 Ca 0.360 0.426 0.900
5 Ca 0.640 0.926 0.100
6 Ca 0.717 0.401 0.376
7 Ca 0.770 0.919 0.584
8 Ca 0.861 0.500 0.935
9 Nb 0.032 0.416 0.616
10 Nb 0.079 0.937 0.823
11 Nb 0.412 0.441 0.174
12 Nb 0.474 0.916 0.382
13 Nb 0.526 0.416 0.618
14 Nb 0.588 0.941 0.826
15 Nb 0.921 0.437 0.177
16 Nb 0.968 0.916 0.384
17 O 0.014 0.094 0.681
18 O 0.053 0.683 0.520
19 O 0.073 0.205 0.906
20 O 0.118 0.608 0.725
21 O 0.138 0.714 0.927
22 O 0.172 0.330 0.191
23 O 0.222 0.984 0.389
24 O 0.272 0.308 0.587
25 O 0.327 0.007 0.802
26 O 0.365 0.733 0.115
27 O 0.415 0.236 0.062
28 O 0.426 0.590 0.322
29 O 0.458 0.681 0.522
30 O 0.496 0.605 0.728
31 O 0.504 0.105 0.272
32 O 0.542 0.181 0.478
33 O 0.574 0.090 0.678
34 O 0.585 0.736 0.938
35 O 0.635 0.233 0.885
36 O 0.673 0.507 0.198
37 O 0.728 0.808 0.413
38 O 0.778 0.484 0.611
39 O 0.828 0.830 0.809
40 O 0.862 0.214 0.073
41 O 0.882 0.108 0.275
42 O 0.927 0.705 0.094
43 O 0.947 0.183 0.480
44 O 0.986 0.594 0.319

Entry 2:
VASP calculation (GGA-PBE) on a geometry-optimized Ca4Nb6O21 structure.

Output
Energy relative to the elements, meV/atom: -2809.2
Calculated density, kg/m3: 3911
Uncorrected energy, eV for the cell shown: -245.19

Cell lengths 5.519, 5.519, 14.689 Å; angles 90.00, 90.00, 90.03 degrees
Sites, in units of the cell vectors:
1 Ca 0.000 0.000 0.000
2 Ca 0.000 0.000 0.311
3 Ca 0.500 0.500 0.000
4 Ca 0.500 0.500 0.311
5 Nb 0.000 0.500 0.156
6 Nb 0.000 0.500 0.453
7 Nb 0.000 0.500 0.859
8 Nb 0.500 0.000 0.156
9 Nb 0.500 0.000 0.453
10 Nb 0.500 0.000 0.859
11 O 0.000 0.000 0.628
12 O 0.000 0.500 0.024
13 O 0.000 0.500 0.289
14 O 0.000 0.500 0.574
15 O 0.000 0.500 0.739
16 O 0.176 0.824 0.157
17 O 0.232 0.768 0.418
18 O 0.233 0.767 0.895
19 O 0.267 0.267 0.418
20 O 0.267 0.267 0.895
21 O 0.324 0.324 0.157
22 O 0.500 0.000 0.024
23 O 0.500 0.000 0.289
24 O 0.500 0.000 0.574
25 O 0.500 0.000 0.739
26 O 0.676 0.676 0.157
27 O 0.733 0.733 0.418
28 O 0.733 0.733 0.895
29 O 0.767 0.233 0.895
30 O 0.768 0.232 0.418
31 O 0.824 0.176 0.157

Entry 3:
I read the last sentence about 20 times before I accepted that it was truly over. I also read it that many times hoping something would reveal itself to me and give me some type of answer.
Like I said I have so many questions. I don’t know anything.
Now, I do think there are several conclusions one could come to from the ending. But that just doesn’t fly with me, I need something concrete to grab onto and while I think some people could create an ending, I don’t know what I think.
This books captivated the crap out of me and I thoroughly enjoyed every second of it, minus the ending.
The loose strings are very annoying, but I don’t know there was just something about it that made me love it.